
Yeah, they might as well just set an end date right now and plan out the next six years around this show.

I was really on the edge of my seat about whether or not all those plot lines were just gonna get left hanging. I mean, we need to know what happens to Al Capone! Does he make it big or is he just stuck as a no-name driver forever?!?!

Olivia Munn, the most obviously fake "nerd chick" that still gets huge kudos from fans for the most meager roles.

Aw, Mel, we love ya!

That's the whole point of this post Calvinist, to gloat his non-equal sign posting abilities.

AV Club music comments: [argument over whether or not band is 'for hipsters' and that music ain't like it used to be]

Yeah it's pretty weird considering how distant Phoenix was the whole time then he's suddenly buddy-buddy.

Not even related firsties? Cmon.

Density functional theory data (PBE with a Hubbard U) for an optimized crystal structure of KCrBiO4.

Cell and atoms, written as CIF:
```
data_KCrBiO4
_chemical_formula_sum 'K2 Cr2 Bi2 O8'
_cell_length_a 5.960
_cell_length_b 5.862
_cell_length_c 8.120
_cell_angle_alpha 90.00
_cell_angle_beta 103.53
_cell_angle_gamma 90.00
_space_group_name_H-M_alt 'P 1 21/m 1'
_space_group_IT_number 11
_space_group_name_Hall '-P 2yb'
loop_
_atom_site_label
_atom_site_type_symbol
_atom_site_fract_x
_atom_site_fract_y
_atom_site_fract_z
K1 K 0.175 0.250 0.154
Cr1 Cr 0.253 0.250 0.685
Bi1 Bi 0.275 0.750 0.483
O1 O 0.061 0.250 0.814
O2 O 0.075 0.250 0.464
O3 O 0.438 0.002 0.679
```

Summary:
calculated total energy: -6.0839 eV per atom
size of the total moment: 2.00 μB/f.u.
volume: 19.70 Å³ per atom

* * * * *

Record 1
CsK2Al, optimized geometry, DFT PBE-GGA; symmetry = P1; distance to the lowest polymorph of the same formula = 0.009 eV/atom; uncorrected energy = -1.512 eV/atom; E_form = 0.185 eV/atom; M_tot = 0.00 μB per cell
1.0
7.2289 0.0000 0.0000
1.4329 7.3225 0.0000
2.3879 -0.0458 9.4630
Cs K Al
2 4 2
Direct
0.0000 0.0000 0.0000 Cs
0.2336 0.0022 0.4174 Cs
0.3320 0.4505 0.6432 K
0.4182 0.4525 0.0418 K
0.6877 0.8829 0.7179 K
0.8307 0.5169 0.3278 K
0.8304 0.3775 0.7161 Al
0.9121 0.5069 0.9280 Al

***

Record 2
YRuW2, optimized geometry, DFT PBE-GGA; symmetry = C2/m; distance to the lowest polymorph of the same formula = 0.222 eV/atom; uncorrected energy = -10.017 eV/atom; E_form = 0.395 eV/atom; M_tot = 0.00 μB per cell
1.0
2.7190 -4.7514 0.0000
2.7190 4.7514 0.0000
-0.9213 0.0000 2.7150
Y Ru W
1 1 2
Direct
0.0000 0.0000 0.0000 Y
0.5000 0.5000 0.0000 Ru
0.0000 0.5000 0.5000 W
0.5000 0.0000 0.5000 W

***

Record 3
KLiPb2Br6, optimized geometry, DFT PBE-GGA; symmetry = R3; uncorrected energy = -3.234 eV/atom; E_form (uncorrected) = -1.19 eV per atom; M_tot = 0.00 μB per cell
1.0
3.8390 2.2165 6.8984
-3.8390 2.2165 6.8984
0.0000 -4.4329 6.8984
K Li Pb Br
1 1 2 6
Direct
0.0000 0.0000 0.0000 K
0.4825 0.4825 0.4825 Li
0.2913 0.2913 0.2913 Pb
0.8019 0.8019 0.8019 Pb
0.1007 0.6665 0.4235 Br
0.2253 0.5746 0.8689 Br
0.4235 0.1007 0.6665 Br
0.5746 0.8689 0.2253 Br
0.6665 0.4235 0.1007 Br
0.8689 0.2253 0.5746 Br

***

Look up the M_tot of the third one.
0.00 μB per cell

***

Among the records above, which one has the lowest uncorrected energy?
YRuW2

* * * * *

Crystalline BeCdBr2 at its relaxed geometry. Source: Alexandria via LeMat-Bulk, functional GGA-PBE.

Energy relative to the lowest polymorph listed for this composition   98.7 meV/atom
ΔE_f (raw)   -351 meV per atom
E_tot   -2.3477 eV/atom
N(E_F)   0.000 states/eV per cell
SG   R-3m

```
BeCdBr2
1.0
-6.7578 -2.4700 8.4007
-3.7915 0.0037 10.3906
-7.1011 1.8594 8.2738
Br Be Cd
2 1 1
Direct
0.0602 0.0602 0.0602
0.9398 0.9398 0.9398
0.0000 0.0000 0.0000
0.5000 0.5000 0.5000
```

Crystalline CsBe2CdBr8 at its relaxed geometry. Source: Alexandria via LeMat-Bulk, functional GGA-PBE.

ΔE_f (raw)   -948 meV per atom

Best part, nobody outside of California would care.

I have heard
that this film is a hoax. Yet it won Documentary awards? What kind of world are we living in?!

Yeah if there is one thing that Halo certainly is NOT is a space-opera. The relationship between Chief and Cortana can maybe be compared to Mulder and Scully early X-Files. Hardly operatic.

I've never heard of this show before.. and it had four seasons? TBS!

By cable I mean the actual cable that goes into my TV thing. Don't have it. Space taken up by Super Nintendo.

Sean Penn won because he was successful in making his stone gargoyle face force out a smile for two hours straight. Sean Penn… smiling?! OSCAR

I don't have cable
Can someone tell me if he does anything weird or is just normal, I reallllllly want to know.

Hahah Maximum Carnage was actually a terrible game but it was a red cartridge, had Carnage as the main bad guy and you could play as Venom. So naturally, my childhood self rented it like 20 times.

Yes I remember Caravaggio in Art History and how the Church was constantly shocked by his work such as a painting of the Virgin Mary but she looked dead, like a real human, with greenish skin tones and unflattering light. It is called Death of the Virgin.

I have to say, this article spent way too much time on the short stories. I thought for a second half the article didn't get put up. There is so much more to talk about this book than what is written here.

I never read it in high school, I actually just read it on my own a month ago for the first time though. What timing!

He's the unaware geek. His diorama project is a bunch of collectible Star Wars figures and girls are a constant mystery to Ralph. It might be a stretch to classify him as a geek but he's never that distant socially when he's seen in their group.